## Exercise
Say how many lines of the material below hold the word "atom", as a bare number, please.

## File
+++
A plane-wave DFT calculation with PBE was carried out for a relaxed Ce5GeBi2 crystal.

Cell and atoms, written as POSCAR:
```
Ce5GeBi2
1.0
12.150 0.000 0.000
0.000 9.611 0.000
0.000 0.000 8.081
Ce Ge Bi
20 4 8
Cartesian
0.047 2.403 0.133 Ce
0.661 0.518 5.554 Ce
0.661 4.287 5.554 Ce
2.592 7.208 2.816 Ce
2.651 2.403 2.699 Ce
3.424 7.208 6.740 Ce
3.483 2.403 6.856 Ce
5.414 5.324 1.514 Ce
5.414 9.093 1.514 Ce
6.028 7.208 4.173 Ce
6.122 2.403 3.908 Ce
6.736 0.518 6.567 Ce
6.736 4.287 6.567 Ce
8.667 7.208 1.225 Ce
8.726 2.403 1.341 Ce
9.499 7.208 5.381 Ce
9.558 2.403 5.265 Ce
11.489 5.324 2.527 Ce
11.489 9.093 2.527 Ce
12.103 7.208 7.948 Ce
0.387 7.208 4.851 Ge
5.688 2.403 0.811 Ge
6.462 7.208 7.270 Ge
11.763 2.403 3.230 Ge
2.157 4.862 0.558 Bi
2.157 9.554 0.558 Bi
3.917 0.057 4.598 Bi
3.917 4.749 4.598 Bi
8.232 4.862 3.482 Bi
8.232 9.554 3.482 Bi
9.992 0.057 7.523 Bi
9.992 4.749 7.523 Bi
```


A plane-wave DFT calculation with PBE was carried out for a relaxed NdScO3 crystal.

Cell and atoms, written as POSCAR:
```
NdScO3
1.0
5.840 0.000 0.000
0.000 8.084 0.000
0.000 0.000 5.609
Nd Sc O
4 4 12
Cartesian
0.329 2.021 0.087 Nd
2.591 6.063 2.892 Nd
3.249 2.021 2.718 Nd
5.511 6.063 5.522 Nd
0.000 0.000 2.805 Sc
0.000 4.042 2.805 Sc
2.920 0.000 0.000 Sc
2.920 4.042 0.000 Sc
0.248 6.063 2.184 O
1.161 4.514 4.500 O
1.161 7.612 4.500 O
1.759 0.472 1.695 O
1.759 3.570 1.695 O
2.673 2.021 4.989 O
3.168 6.063 0.621 O
4.081 4.514 3.914 O
4.081 7.612 3.914 O
4.679 0.472 1.109 O
4.679 3.570 1.109 O
5.593 2.021 3.425 O
```


A plane-wave DFT calculation with PBE was carried out for a relaxed CsLiMg6 crystal.

Cell and atoms, written as POSCAR:
```
CsLiMg6
1.0
-0.844 1.767 -5.194
-6.513 -0.167 1.001
0.305 11.748 3.947
Li Cs Mg
2 2 12
Cartesian
-0.371 2.845 -1.938 Li
-3.475 8.636 0.536 Li
-0.218 8.759 0.049 Cs
-3.627 2.801 -1.424 Cs
-3.003 9.683 3.782 Mg
0.101 3.893 1.308 Mg
-5.165 5.676 -0.196 Mg
0.258 9.959 3.346 Mg
-1.478 0.822 0.520 Mg
-1.937 5.759 -0.693 Mg
-4.582 6.613 2.994 Mg
-4.990 0.732 1.060 Mg
-3.150 4.002 1.873 Mg
-1.581 6.690 2.533 Mg
-1.756 11.634 1.277 Mg
-5.041 11.549 1.782 Mg
```

Offset from the most stable computed form = 9.5 meV/atom


A plane-wave DFT calculation with PBE was carried out for a relaxed Li3Nd2B3O9 crystal.

Cell and atoms, written as POSCAR:
```
Li3Nd2B3O9
1.0
5.845 0.000 0.000
0.000 14.229 0.000
-3.693 0.000 8.658
Li Nd B O
12 8 12 36
Cartesian
-0.481 1.598 1.805 Li
-2.328 5.516 6.134 Li
1.672 3.059 1.820 Li
-0.175 4.055 6.149 Li
0.655 9.464 4.302 Li
-1.192 11.880 8.631 Li
3.343 2.349 0.027 Li
1.497 4.765 4.356 Li
2.327 10.174 2.509 Li
0.480 11.170 6.838 Li
4.479 8.713 2.524 Li
2.632 12.631 6.852 Li
-2.212 9.444 5.994 Nd
-0.366 11.900 1.665 Nd
-0.406 0.046 5.702 Nd
1.441 7.069 1.373 Nd
0.710 7.160 7.285 Nd
2.557 14.184 2.956 Nd
2.517 2.330 6.992 Nd
4.364 4.785 2.664 Nd
0.599 9.631 0.156 B
-1.248 11.712 4.485 B
1.487 0.220 0.117 B
-0.359 6.894 4.446 B
0.505 2.322 4.085 B
-1.342 4.792 8.414 B
3.493 9.437 0.244 B
1.647 11.907 4.573 B
2.511 7.335 4.212 B
0.664 14.009 8.541 B
3.399 2.517 4.173 B
1.553 4.598 8.502 B
-3.191 8.464 8.058 O
-1.344 12.880 3.729 O
-1.091 10.493 3.860 O
-2.938 10.850 8.189 O
-2.229 0.104 7.391 O
-0.382 7.010 3.062 O
0.587 9.521 1.542 O
-1.260 11.823 5.871 O
1.499 1.473 0.693 O
-0.348 5.641 5.022 O
0.444 3.444 3.279 O
-1.402 3.670 7.608 O
-0.357 8.028 5.251 O
1.490 13.316 0.922 O
0.474 1.053 3.522 O
-1.373 6.061 7.851 O
0.567 2.393 5.469 O
2.413 4.721 1.140 O
-0.262 9.508 7.518 O
1.585 11.836 3.189 O
3.525 8.168 0.807 O
1.678 13.176 5.136 O
0.662 0.913 7.736 O
2.508 6.201 3.407 O
3.554 10.559 1.050 O
1.707 10.785 5.379 O
2.499 8.588 3.636 O
0.653 12.756 7.965 O
3.412 2.407 2.787 O
1.565 4.708 7.116 O
2.534 7.219 5.596 O
4.380 14.125 1.267 O
5.089 3.379 0.469 O
3.243 3.736 4.798 O
3.496 1.349 4.928 O
5.343 5.765 0.599 O
```


A plane-wave DFT calculation with PBE was carried out for a relaxed K9Gd3Si12O32F2 crystal.

Cell and atoms, written as POSCAR:
```
K9Gd3Si12O32F2
1.0
6.976 0.000 0.000
+++

## Done
1